As Ethereum has evolved in the post-merge era, we find ourselves in a mixed status between centralized and decentralized systems for block production and transaction inclusion. While the validator set can be considered reasonably decentralized, even with concerns over staking pool centralization, with 900,000 active validators at the time of writing; the same cannot be said about block producers: According to data from, over 92% of blocks are being produced via MEv Boost (outsourcing to external builders). Of those, according to, 95% were relayed by just 5 relays, and 77% of those blocks were produced by the top 3 builders.
Three of the 5 mentioned relays actively censor transactions from certain known addresses, while the other two we must trust not to. Visit this site for more accurate and up-to-date information on the current status of censorship. If Ethereum wants to claim credible decentralization and censorship resistance, we must do better than this.
There are several proposals floating around to deal with this situation, ranging from the simplest (already implemented) inclusion of a flag that the local execution client uses to inform the validator node that it must not use MEV-Boost in its next proposal due to active censorship, through inclusion lists, and ePBS.
All three of these approaches require the execution layer to implement some heuristics to inform the validator that there is some form of censorship happening in the network. Let's consider the simplest feature. When a validator is about to propose a block, and assuming it will use MEV Boost to request blocks from a builder, it requests, in fact, two different execution blocks: one from its own execution client and another from the relays (that relay payloads from builders). The beacon node performs some basic comparisons to decide which block to use. For example, by default, proposers will choose to use the local payload if the builder is offering less payment. Other checks are performed to ensure that the builder's block does not contain errors that would render its block invalid. We check that the number of withdrawals is correct, that the timestamps, and other metadata match what is expected, etc. Together with the block, the local execution client returns a boolean flag shouldOverrideBuilder
that, if set, the beacon node may (and should) not use the builder's block and instead fallback to local execution. How does the local execution client decide when to set this flag?
A similar construction would arise when using inclusion lists, something that we mostly believe to be mandatory in the path for the protocol enshrined proposer-builder separation. In these setups, the proposer of a block would inform beforehand some transactions that it wants to be included on-chain. There are different designs, perhaps the most liked one is the one that forces these transactions to be included in the next slot. In any such construction, the proposer will require first to its local execution client to produce a list of transactions that it thinks are being censored so that they are a requirement for the next builder to include. How does the local execution client decide which transactions to automatically provide?
This is the main objective of this short writeup, to give some basic heuristics that can be easily applied in the execution client software, perhaps user-configurable.
There are different reasons why proposers or builders may incur in censorship, the most common one that is being talked about constantly is to prevent transactions that have interacted with certain contracts or addresses that have been banned in certain jurisdictions. These are transactions that some builders do not want to include in blocks because they fear that they may be legally liable in those jurisdictions.
There are other, perhaps more impactful types of censorships. Consider the case of a rollup, be it either an optimistic one or a ZK rollup. Censoring nodes may want to delay information from the rollup arriving in L1, that is, they would censor any transaction where the batch of transactions is being posted (in the optimistic case) or where the proof of state is being posted (in the ZK case). In the optimistic rollup scenario, there is an even more dangerous situation: imagine an L2 with a permissionless challenge protocol where the sequencer decides to post an invalid state transition. Honest validators on L2 would immediately realize this bad state and would want to assert the correct state by sending a challenge to the rollup contract in L1. The sequencer may be trying to extract enough capital from L2 that it may be worth it to coerce with enough validators/builders on L1 as to censor these challenge transactions.
The most naive way of censoring is simply not including these unwanted transactions in blocks. This is the common situation for those transactions that interact with some contracts that may be banned in some jurisdictions. Since there is currently at least 8% of validators that still produce local blocks, and it is reasonable to expect that these validators run unmodified software with default configurations. These transactions typically make it on-chain relatively fast. There is, however, a more dangerous form of censorship, which would be applicable, for example, in the case of a rogue L2 sequencer which wants to rug the whole rollup: censor those unwanted transactions whenever the builder is part of the cartel, but even if some proposers/builders are non-censoring and they manage to include these transactions on-chain, then reorg the blocks containing these transactions.
This type of censorship is much more complicated to apply in practice as it requires not only a cartel of builders but also a cartel of validators attesting against the non-censoring blocks. We believe the validator set of Ethereum is mostly decentralized, but these claims need to be contrasted constantly with the increasing centralization power of staking pools (at the time of writing, Lido's stake is over 30% of the total stake). With the advent of restaking and other mechanisms, capital locked in rollups or other sidechains may be sufficient enough to entice this type of attacks.
Fortunately, there are very simple heuristics that can be implemented in the execution client software that would guarantee some sane defaults, both in the case of the shouldOverrideBuilder
flag as well as the inclusion list mechanism for PBS.
If there are transactions that are paying tips much higher than the maximum tips in the last few blocks and haven't been included in two consecutive blocks, then there is active censorship.
If there are transactions that have been paying more than the median tip in the last few blocks and have not been included in the last 5 blocks, then there is active censorship.
More generally, one could envision a curve tip/waiting-time so that if there are transactions on one side of the curve, there is active censorship. There is an extra dimension to this problem which is the number of such transactions. For lower tips, validators may want to tweak their ELs to allow a minimal number of transactions to be censored, something of the form "if there are more than x
transactions that pay at least y%
of the median tip in the last few blocks and have not been included in z
consecutive slots, then there is censorship". And they may want to put numbers like x = 3
for y=50
and z = 4
while perhaps x=0
Attached: calculated molecules:
~~~
Record 1
Molecular formula: C4H7NO2
Method: DFT, ωB97M-V/def2-TZVPD

Properties
- LUMO energy: -3.54 eV
- Kohn-Sham gap: 6.248 eV
- Relative energy (zero: lowest compared OMol25 entry of this formula, charge and spin): 151.27 kcal/mol

```
14
Properties=species:S:1:pos:R:3:nbo_charge:R:1
O -0.496 -1.675 -0.907 -0.528
C 0.132 -0.789 -0.458 0.629
N 0.851 -0.745 0.684 -0.126
C 0.196 -0.304 1.919 0.010
O -0.501 0.730 1.738 -0.558
C 0.398 0.531 -1.432 -0.443
C -0.442 1.741 -1.112 -0.644
H -0.391 -1.199 2.157 0.288
H 1.013 -0.252 2.631 0.236
H 1.467 0.604 -1.273 0.208
H 0.254 0.042 -2.417 0.234
H -0.510 1.820 -0.041 0.259
H -1.470 1.536 -1.442 0.214
H -0.071 2.639 -1.581 0.220
```

=====

Record 2
Molecular formula: C7H9N
Method: DFT, ωB97M-V/def2-TZVPD

Properties
- LUMO energy: 0.96 eV
- Kohn-Sham gap: 8.388 eV
- Relative energy (zero: lowest compared OMol25 entry of this formula, charge and spin): 148.88 kcal/mol

```
17
Properties=species:S:1:pos:R:3:nbo_charge:R:1
C -1.405 -1.762 0.674 0.050
C 1.319 1.404 1.923 -0.403
C 0.388 1.341 1.004 -0.240
C -0.339 0.613 -1.412 -0.450
C -0.261 -0.874 -1.655 -0.451
C 0.566 0.633 -0.224 -0.198
C -0.339 -1.286 -0.173 0.114
N -0.383 -2.453 0.773 -0.293
H -2.431 -1.777 0.894 0.205
H 0.926 1.694 2.883 0.205
H 2.335 1.047 1.643 0.199
H -0.548 1.770 1.239 0.191
H 0.036 1.384 -2.141 0.224
H -1.227 0.883 -0.877 0.215
H -0.990 -1.516 -2.248 0.204
H 0.712 -1.346 -1.981 0.224
H 1.641 0.245 -0.321 0.205
```

=====

Please write out number 2 again, unchanged.
Molecular formula: C7H9N
Method: DFT, ωB97M-V/def2-TZVPD

Properties
- LUMO energy: 0.96 eV
- Kohn-Sham gap: 8.388 eV
- Relative energy (zero: lowest compared OMol25 entry of this formula, charge and spin): 148.88 kcal/mol

```
17
Properties=species:S:1:pos:R:3:nbo_charge:R:1
C -1.405 -1.762 0.674 0.050
C 1.319 1.404 1.923 -0.403
C 0.388 1.341 1.004 -0.240
C -0.339 0.613 -1.412 -0.450
C -0.261 -0.874 -1.655 -0.451
C 0.566 0.633 -0.224 -0.198
C -0.339 -1.286 -0.173 0.114
N -0.383 -2.453 0.773 -0.293
H -2.431 -1.777 0.894 0.205
H 0.926 1.694 2.883 0.205
H 2.335 1.047 1.643 0.199
H -0.548 1.770 1.239 0.191
H 0.036 1.384 -2.141 0.224
H -1.227 0.883 -0.877 0.215
H -0.990 -1.516 -2.248 0.204
H 0.712 -1.346 -1.981 0.224
H 1.641 0.245 -0.321 0.205
```
~~~
The piece goes on:
for y=5000
and z=2
-- What comes next are data records, not part of the text --
- - -
(1)
16
Properties=species:S:1:pos:R:3:forces:R:3:nbo_charge:R:1 method="wB97M-V/def2-TZVPD" smiles=SS.O.O.O.O total_energy_ev=-30022.13231 homo_energy_ha=-0.3219 fmax_ev_per_a=1.09 de_lowest_kcal_mol=23.4
S 1.2816 -0.9187 1.7004 0.4 -0.7 -0.1 -0.1512
S 0.7245 0.8290 2.5980 0.4 0.2 0.3 -0.1156
H 2.0728 -0.4845 0.6986 -0.3 0.3 0.1 0.1271
H -0.5728 0.6391 2.4180 -0.4 0.2 -0.3 0.1396
H 1.8315 -3.8356 -1.6488 0.1 0.2 -0.3 0.4644
H 0.5520 -4.5557 -1.5017 -0.5 -0.2 0.0 0.4645
O 1.0435 -4.0607 -2.1580 0.4 0.0 0.3 -0.9290
H -1.4149 -2.9885 -3.9395 0.8 0.0 0.1 0.4651
H -2.5832 -2.2268 -3.5691 0.1 0.6 0.4 0.4567
O -1.6238 -2.1949 -3.4342 -0.9 -0.5 -0.4 -0.9219
H -1.6257 4.4960 -1.0862 -0.1 0.0 0.4 0.4688
H -0.3429 4.7278 -1.8555 0.2 0.0 0.0 0.4710
O -1.2371 4.4011 -1.9535 -0.2 -0.1 -0.4 -0.9400
H -1.4667 1.7416 -0.6009 0.8 -0.3 -0.3 0.4751
H -2.4142 2.3075 0.2907 -0.3 0.3 0.7 0.4581
O -1.4985 2.0191 0.3187 -0.6 0.1 -0.4 -0.9329



(2)
119
Properties=species:S:1:pos:R:3:forces:R:3:lowdin_charge:R:1 method="wB97M-V/def2-TZVPD" total_energy_ev=-344077.50490 homo_energy_ha=-0.0636 charge=-2 fmax_ev_per_a=3.09 de_lowest_kcal_mol=40.2
Be -1.9476 -16.2821 21.3614 -0.8 0.1 -0.4 -0.1285
Cl -2.4163 -16.3306 24.2871 0.0 -0.1 0.0 0.7187
C -0.9115 -15.7143 23.7210 1.9 1.5 -0.2 -0.6945
C -0.6857 -15.5891 22.3381 0.4 -1.1 0.1 -0.2758
C 0.5197 -15.0655 21.8597 -0.3 0.4 2.4 -0.7216
Cl 0.7739 -15.0187 20.1770 0.2 0.1 -0.7 0.7027
C 1.4788 -14.5066 22.7594 -0.9 -0.4 0.1 -0.7118
Cl 2.7761 -13.5698 22.1393 0.4 0.0 0.0 0.6550
C 1.3008 -14.6284 24.1524 -2.4 -1.1 -0.8 -0.7250
Cl 2.4635 -14.0995 25.2808 0.3 0.3 0.1 0.6571
C 0.0568 -15.2195 24.6243 0.8 0.3 -1.1 -0.7021
Cl -0.2606 -15.2170 26.3105 0.1 -0.2 0.4 0.6560
C -2.5959 -12.0069 12.9566 0.7 0.2 -0.5 -0.0642
C -2.4940 -11.2522 14.2615 0.6 -0.8 -0.3 -0.2556
C -3.3701 -10.1869 14.4677 1.1 -0.6 0.2 -0.0350
C -3.4347 -9.5726 15.6923 0.6 -0.6 1.2 -0.1943
C -4.5088 -8.5488 15.9129 0.0 0.3 0.4 -0.0397
C -2.4906 -9.9727 16.7014 0.0 -0.3 -0.2 -0.1005
C -1.4352 -10.8834 16.3834 0.0 -0.1 0.0 -0.2284
C -0.1402 -11.0474 17.1959 -0.2 -1.0 0.2 -0.0477
C -1.5035 -11.6234 15.2035 -2.0 2.1 -0.5 -0.0058
C -2.6296 -9.5261 18.1284 0.0 0.0 0.3 -0.2143
C -2.6362 -8.1580 18.4202 0.4 -0.7 0.0 -0.0644
C -2.7307 -7.7113 19.7288 0.1 0.7 0.6 -0.0946
C -2.9045 -8.6179 20.7699 0.5 -1.5 -0.3 -0.0433
C -2.8643 -10.0068 20.4879 -0.6 0.4 -0.5 -0.2524
C -2.7460 -10.4877 19.1723 -1.0 0.7 0.1 -0.2677
Ge -3.2488 -12.5135 18.8189 1.1 0.2 -0.9 0.6079
S -3.0574 -14.7647 20.6393 -0.3 -0.4 0.4 0.1122
S -3.9998 -15.0646 16.5516 -0.8 0.2 0.9 -0.0267
Ge -5.4358 -14.6223 18.1197 0.6 0.0 0.8 -0.0304
S -4.9911 -15.4883 20.3056 0.1 0.0 -0.8 0.1168
S -5.4982 -12.4126 18.8783 0.1 -0.2 -0.4 0.1262
C -7.2826 -15.2408 17.6643 -0.5 0.7 -0.4 -0.2208
C -7.9535 -14.6286 16.5953 -0.3 -1.1 0.0 -0.2257
C -8.8912 -15.3557 15.8124 0.1 0.4 0.5 -0.0494
C -9.2517 -16.6455 16.1448 0.8 -0.1 0.4 -0.0734
C -8.6340 -17.2210 17.2595 -1.2 -0.5 0.2 -0.0471
- - -
If we ever find ourselves in the situation where the strong reorging form of censorship is happening, then we most probably have a compromised consensus layer. However, given that this is one of the most important aspects of the blockchain (censorship resistance together with decentralization and permissionless validation), we would do best to have sane defaults. One simple such heuristic would be on each reorg, get the list of transactions that were included in the orphaned block and not in the reorging block. Execution clients do this anyway today by re-adding those transactions to their mempool. If the same transaction is found to have been reorged twice, then a signal of active censorship to the node.
This is a no-brainer. Let the user specify a list of addresses so that if there are enough transactions (again parameters can be tweaked as above) that have not been included long enough and interact with those addresses, then a signal of active censorship to the node.
If there are enough transactions that are trying to interact with a given contract and have not been included on-chain for enough blocks, signal active censorship to the node. From the whole list, this one seems to be a bit more complicated to implement (at least with my diminute knowledge of mempool implementations) therefore I would not expand on it.
Client diversity plays in our favor here, the entire list of heuristics is completely optional. Some may want to not implement anything and simply return that there is no censorship by default (I hope this is not the case, however). Some may want to implement a subset of the above list, or different ones not included here, and even if clients implement the same list of heuristics, they may have different defaults for the thresholds listed here. Being as diverse as possible helps to make it more difficult for censors to play the system.